# To do
Could you echo the lines further down exactly?
# Data
=====
C44H120B3Cl2F12N8O14 | the ωB97M-V functional and the def2-TZVPD basis

orbital gap	7.41	eV
ΔE to the lowest compared entry with this formula, charge and spin	0.0000	eV
charge	+3

```
203
Properties=species:S:1:pos:R:3:forces:R:3
C -3.9428 4.9003 2.2010 -0.9 1.4 1.0
O -5.2893 5.4850 2.3218 -0.2 -0.6 0.3
C -5.3541 6.8602 2.0636 0.6 0.7 -0.4
C -6.7533 7.4663 2.3670 0.6 -0.3 0.8
N -7.2546 6.8123 3.6547 -0.5 -1.4 -0.8
H -6.9499 5.8332 3.4591 -0.1 0.4 0.4
H -6.8155 7.0565 4.5506 0.3 0.7 -0.7
C -8.7480 6.7307 3.9359 0.6 0.3 -0.1
C -9.3139 8.0180 4.5681 0.9 1.2 -1.0
O -8.2570 8.9929 4.6571 -0.4 -0.3 0.2
C -8.4644 9.9957 5.6799 0.7 -0.9 0.3
H -3.5199 5.2597 1.2765 0.3 -0.2 -0.4
H -4.0655 3.8277 2.2394 0.0 -0.1 -0.1
H -3.3242 5.2693 3.0497 -0.3 -0.3 -0.5
H -5.1677 7.0436 0.9865 0.1 0.1 0.4
H -4.5770 7.3794 2.6603 -0.3 0.0 -0.2
H -7.4514 7.2148 1.5614 -0.1 -0.1 0.4
H -6.7058 8.5505 2.5050 0.0 -0.3 -0.1
H -8.7911 5.8976 4.6126 -0.4 -0.4 0.3
H -9.2593 6.4775 3.0020 0.2 0.0 0.2
H -9.7331 7.9087 5.5496 -0.3 -0.6 0.5
H -10.0792 8.3796 3.8805 -0.2 0.2 0.2
H -9.1938 10.7519 5.4168 -0.2 0.0 -0.2
H -7.4834 10.4581 5.8203 -0.3 0.0 0.0
H -8.7396 9.4923 6.6277 0.0 0.3 -0.4
C 1.8215 -5.3349 -3.4191 -1.1 -0.5 0.3
O 3.1748 -5.1196 -3.6912 0.9 0.3 -0.6
C 3.5972 -3.8035 -3.4946 0.7 -0.7 0.1
C 4.9954 -3.6631 -4.1023 -0.3 0.1 1.1
N 5.0654 -4.1063 -5.5241 -1.0 1.2 -0.2
H 5.9570 -4.5305 -5.6937 0.4 -0.9 0.1
H 4.2838 -4.7671 -5.7314 0.7 0.0 0.2
C 5.0001 -3.0438 -6.6052 -0.3 -0.9 0.0
C 5.1084 -3.8199 -7.9220 0.5 0.7 0.6
O 4.2079 -4.8928 -7.8780 0.0 0.6 1.0
C 4.1315 -5.6565 -9.0240 -2.7 -1.1 -2.9
H 1.6139 -6.2988 -3.8712 -0.4 0.0 -0.1
H 1.1518 -4.5534 -3.8269 0.4 -0.3 0.1
H 1.6336 -5.4189 -2.3414 0.1 0.2 -0.3
H 3.6587 -3.5839 -2.4111 0.0 0.3 -0.4
H 2.9358 -3.1056 -3.9965 -0.4 0.3 0.0
H 5.7365 -4.2603 -3.5677 -0.2 0.1 0.1
H 5.2200 -2.6070 -3.9603 0.5 0.0 -0.6
H 5.8357 -2.3378 -6.4863 -0.4 -0.2 0.0
H 4.0293 -2.5647 -6.5332 0.0 0.2 0.1
H 6.1344 -4.2125 -7.9774 0.0 0.2 -0.5
H 4.9201 -3.0431 -8.6740 0.0 -0.6 -0.5
H 3.3791 -5.2863 -9.7836 0.9 0.6 0.7
H 3.6580 -6.6385 -8.9201 0.4 0.0 1.3
H 5.0108 -5.8596 -9.5898 1.3 0.3 0.1
C 4.2391 6.8219 3.8136 0.3 -1.3 0.8
O 4.4101 7.3689 2.5401 0.0 0.7 -0.6
C 3.9480 8.7159 2.4699 0.6 -1.1 1.2
C 4.0346 9.0463 1.0371 -0.4 0.0 -0.6
N 3.2433 7.9725 0.3831 -1.5 -1.3 -1.4
H 3.4799 7.7833 -0.5781 0.8 0.3 -0.5
H 3.4069 7.0448 0.8378 -0.1 0.6 0.4
C 1.7254 8.1281 0.2788 -0.4 0.5 0.8
C 1.0295 6.8025 0.0290 0.9 0.2 -0.5
O 1.5417 5.9958 1.0271 -0.1 -1.1 0.5
C 1.1455 4.6091 0.9101 -0.5 0.5 -0.7
H 3.2213 6.9421 4.1869 -0.1 0.3 0.0
H 4.9743 7.2369 4.5109 -0.2 0.0 0.1
H 4.3870 5.7330 3.7336 0.1 0.5 0.0
H 4.5584 9.3564 3.1035 0.0 0.3 0.0
H 2.9297 8.6984 2.8296 -0.5 0.4 0.2
H 5.0641 9.0261 0.7076 0.2 -0.3 -0.3
H 3.6079 9.9963 0.7674 -0.2 0.4 0.0
H 1.4511 8.8562 -0.4732 0.4 0.3 -0.2
H 1.3485 8.4850 1.2429 0.4 0.0 -0.1
H 1.2146 6.3825 -0.9746 0.1 0.1 0.1
H -0.0396 6.9804 0.1093 -0.4 0.0 0.1
H 0.0464 4.5423 0.8399 0.3 0.0 0.0
H 1.4886 4.0956 1.7725 0.2 -0.2 0.7
H 1.6023 4.1564 0.0262 -0.1 0.1 0.0
C 0.7556 -8.1879 -0.6966 1.3 -1.7 0.1
O 1.1717 -7.5132 0.5059 -0.9 0.8 -0.9
C 1.2981 -6.0905 0.3429 -0.3 -1.0 -0.9
C 0.6934 -5.4128 1.5270 0.9 -0.3 0.9
N 1.3779 -5.8827 2.8418 -0.1 0.8 -2.4
H 1.1042 -6.8378 3.0606 -0.1 -0.5 -0.1
H 2.3809 -5.8465 2.6029 -0.5 0.0 0.9
C 0.8979 -5.0730 3.9741 0.3 -0.2 1.0
C -0.5093 -5.5622 4.3514 0.1 0.5 -0.8
O -0.3253 -6.9664 4.3695 0.4 -0.6 -0.1
C -1.3781 -7.9006 4.4355 -2.3 0.2 -0.4
H 0.2275 -7.6005 -1.4451 0.0 0.4 0.3
H 0.1378 -9.0587 -0.4381 -0.1 0.5 0.2
H 1.6627 -8.6673 -1.1473 -0.6 0.6 0.0
H 0.7705 -5.7070 -0.5590 0.0 -0.4 0.7
H 2.3668 -5.8785 0.1479 -0.2 0.3 0.5
H -0.3590 -5.5816 1.6722 -0.3 -0.2 -0.3
H 0.8523 -4.3534 1.4297 0.0 0.6 0.3
H 0.9198 -4.0376 3.6893 -0.2 0.6 0.1
H 1.5917 -5.2920 4.7876 -0.1 0.2 0.1
H -1.2216 -5.1579 3.6109 0.0 -0.6 0.0
H -0.8325 -5.0934 5.2833 0.2 -0.4 0.3
H -2.0857 -7.8797 3.5411 0.9 0.4 0.9
H -1.9974 -7.7365 5.3374 0.3 0.0 -0.3
H -1.0371 -8.9374 4.4653 0.7 0.4 0.1
=====
# Written answer
C44H120B3Cl2F12N8O14 | the ωB97M-V functional and the def2-TZVPD basis

orbital gap	7.41	eV
ΔE to the lowest compared entry with this formula, charge and spin	0.0000	eV
charge	+3

```
203
Properties=species:S:1:pos:R:3:forces:R:3
C -3.9428 4.9003 2.2010 -0.9 1.4 1.0
O -5.2893 5.4850 2.3218 -0.2 -0.6 0.3
C -5.3541 6.8602 2.0636 0.6 0.7 -0.4
C -6.7533 7.4663 2.3670 0.6 -0.3 0.8
N -7.2546 6.8123 3.6547 -0.5 -1.4 -0.8
H -6.9499 5.8332 3.4591 -0.1 0.4 0.4
H -6.8155 7.0565 4.5506 0.3 0.7 -0.7
C -8.7480 6.7307 3.9359 0.6 0.3 -0.1
C -9.3139 8.0180 4.5681 0.9 1.2 -1.0
O -8.2570 8.9929 4.6571 -0.4 -0.3 0.2
C -8.4644 9.9957 5.6799 0.7 -0.9 0.3
H -3.5199 5.2597 1.2765 0.3 -0.2 -0.4
H -4.0655 3.8277 2.2394 0.0 -0.1 -0.1
H -3.3242 5.2693 3.0497 -0.3 -0.3 -0.5
H -5.1677 7.0436 0.9865 0.1 0.1 0.4
H -4.5770 7.3794 2.6603 -0.3 0.0 -0.2
H -7.4514 7.2148 1.5614 -0.1 -0.1 0.4
H -6.7058 8.5505 2.5050 0.0 -0.3 -0.1
H -8.7911 5.8976 4.6126 -0.4 -0.4 0.3
H -9.2593 6.4775 3.0020 0.2 0.0 0.2
H -9.7331 7.9087 5.5496 -0.3 -0.6 0.5
H -10.0792 8.3796 3.8805 -0.2 0.2 0.2
H -9.1938 10.7519 5.4168 -0.2 0.0 -0.2
H -7.4834 10.4581 5.8203 -0.3 0.0 0.0
H -8.7396 9.4923 6.6277 0.0 0.3 -0.4
C 1.8215 -5.3349 -3.4191 -1.1 -0.5 0.3
O 3.1748 -5.1196 -3.6912 0.9 0.3 -0.6
C 3.5972 -3.8035 -3.4946 0.7 -0.7 0.1
C 4.9954 -3.6631 -4.1023 -0.3 0.1 1.1
N 5.0654 -4.1063 -5.5241 -1.0 1.2 -0.2
H 5.9570 -4.5305 -5.6937 0.4 -0.9 0.1
H 4.2838 -4.7671 -5.7314 0.7 0.0 0.2
C 5.0001 -3.0438 -6.6052 -0.3 -0.9 0.0
C 5.1084 -3.8199 -7.9220 0.5 0.7 0.6
O 4.2079 -4.8928 -7.8780 0.0 0.6 1.0
C 4.1315 -5.6565 -9.0240 -2.7 -1.1 -2.9
H 1.6139 -6.2988 -3.8712 -0.4 0.0 -0.1
H 1.1518 -4.5534 -3.8269 0.4 -0.3 0.1
H 1.6336 -5.4189 -2.3414 0.1 0.2 -0.3
H 3.6587 -3.5839 -2.4111 0.0 0.3 -0.4
H 2.9358 -3.1056 -3.9965 -0.4 0.3 0.0
H 5.7365 -4.2603 -3.5677 -0.2 0.1 0.1
H 5.2200 -2.6070 -3.9603 0.5 0.0 -0.6
H 5.8357 -2.3378 -6.4863 -0.4 -0.2 0.0
H 4.0293 -2.5647 -6.5332 0.0 0.2 0.1
H 6.1344 -4.2125 -7.9774 0.0 0.2 -0.5
H 4.9201 -3.0431 -8.6740 0.0 -0.6 -0.5
H 3.3791 -5.2863 -9.7836 0.9 0.6 0.7
H 3.6580 -6.6385 -8.9201 0.4 0.0 1.3
H 5.0108 -5.8596 -9.5898 1.3 0.3 0.1
C 4.2391 6.8219 3.8136 0.3 -1.3 0.8
O 4.4101 7.3689 2.5401 0.0 0.7 -0.6
C 3.9480 8.7159 2.4699 0.6 -1.1 1.2
C 4.0346 9.0463 1.0371 -0.4 0.0 -0.6
N 3.2433 7.9725 0.3831 -1.5 -1.3 -1.4
H 3.4799 7.7833 -0.5781 0.8 0.3 -0.5
H 3.4069 7.0448 0.8378 -0.1 0.6 0.4
C 1.7254 8.1281 0.2788 -0.4 0.5 0.8
C 1.0295 6.8025 0.0290 0.9 0.2 -0.5
O 1.5417 5.9958 1.0271 -0.1 -1.1 0.5
C 1.1455 4.6091 0.9101 -0.5 0.5 -0.7
H 3.2213 6.9421 4.1869 -0.1 0.3 0.0
H 4.9743 7.2369 4.5109 -0.2 0.0 0.1
H 4.3870 5.7330 3.7336 0.1 0.5 0.0
H 4.5584 9.3564 3.1035 0.0 0.3 0.0
H 2.9297 8.6984 2.8296 -0.5 0.4 0.2
H 5.0641 9.0261 0.7076 0.2 -0.3 -0.3
H 3.6079 9.9963 0.7674 -0.2 0.4 0.0
H 1.4511 8.8562 -0.4732 0.4 0.3 -0.2
H 1.3485 8.4850 1.2429 0.4 0.0 -0.1
H 1.2146 6.3825 -0.9746 0.1 0.1 0.1
H -0.0396 6.9804 0.1093 -0.4 0.0 0.1
H 0.0464 4.5423 0.8399 0.3 0.0 0.0
H 1.4886 4.0956 1.7725 0.2 -0.2 0.7
H 1.6023 4.1564 0.0262 -0.1 0.1 0.0
C 0.7556 -8.1879 -0.6966 1.3 -1.7 0.1
O 1.1717 -7.5132 0.5059 -0.9 0.8 -0.9
C 1.2981 -6.0905 0.3429 -0.3 -1.0 -0.9
C 0.6934 -5.4128 1.5270 0.9 -0.3 0.9
N 1.3779 -5.8827 2.8418 -0.1 0.8 -2.4
H 1.1042 -6.8378 3.0606 -0.1 -0.5 -0.1
H 2.3809 -5.8465 2.6029 -0.5 0.0 0.9
C 0.8979 -5.0730 3.9741 0.3 -0.2 1.0
C -0.5093 -5.5622 4.3514 0.1 0.5 -0.8
O -0.3253 -6.9664 4.3695 0.4 -0.6 -0.1
C -1.3781 -7.9006 4.4355 -2.3 0.2 -0.4
H 0.2275 -7.6005 -1.4451 0.0 0.4 0.3
H 0.1378 -9.0587 -0.4381 -0.1 0.5 0.2
H 1.6627 -8.6673 -1.1473 -0.6 0.6 0.0
H 0.7705 -5.7070 -0.5590 0.0 -0.4 0.7
H 2.3668 -5.8785 0.1479 -0.2 0.3 0.5
H -0.3590 -5.5816 1.6722 -0.3 -0.2 -0.3
H 0.8523 -4.3534 1.4297 0.0 0.6 0.3
H 0.9198 -4.0376 3.6893 -0.2 0.6 0.1
H 1.5917 -5.2920 4.7876 -0.1 0.2 0.1
H -1.2216 -5.1579 3.6109 0.0 -0.6 0.0
H -0.8325 -5.0934 5.2833 0.2 -0.4 0.3
H -2.0857 -7.8797 3.5411 0.9 0.4 0.9
H -1.9974 -7.7365 5.3374 0.3 0.0 -0.3
H -1.0371 -8.9374 4.4653 0.7 0.4 0.1